Virginia Smith left her job as a corporate director to become a full time writer and speaker in the summer of 2005. Since then she has contracted eight novels and numerous articles and short stories.
She writes contemporary humorous novels for the Christian market, including her debut, Just As I Am (Kregel Publications, March 2006) and her new release, Murder by Mushroom (Steeple Hill, August 2007). Her short fiction has been anthologized, and her articles have been published in a variety of Christian magazines.
An energetic speaker, Virginia loves to exemplify God’s truth by comparing real-life situations to well-known works of fiction, such as her popular talk, “Biblical Truths in Star Trek.”
Welcome Ginny!
Beth: Tell us about your life, where you grew up, your interests and hobbies.
Ginny: I was born and raised in central Kentucky. I’m the oldest of three sisters, and my Mom is remarried to a man who has two daughters, so we’re a real “yours & mine & ours” family! My passion as I was growing up was music, and I still love to sing. I also really enjoy scuba diving. My husband and I go diving in the Caribbean several times a year. And we love snow skiing, too, which is why we live in Salt Lake City part of the year. Some of the best skiing in the country is within minutes of our home there!
Beth: Tell us about your writing journey. Did you always want to be a writer?
Ginny: No, not really. I never even thought about writing until I was in my mid-twenties. I’ve always loved reading, though, and one day I read a published short story with a HUGE plot hole in it. I thought, “I could do better than that!” So I did. I wrote a short story – a brilliant work of utter genius, in my and my mother’s opinions – and sent it to the same magazine. The rejection letter arrived in something just short of the speed of light. And there began a very painful lesson, that writing well is a lot harder than it looks.
But as I wrote that first story, I discovered a passion for writing that I didn’t know I had possessed. I kept writing, and kept submitting, and kept falling deeper and deeper in love with the process of writing. And then finally I received a book contract – twenty years after that first rejection letter!
# Materials data that have nothing to do with the piece
- - -
This entry pairs a crystal structure of Nd2Zn15Pd2 with its theoretical X-ray diffraction stick pattern. Radiation: Cu Kα (λ = 1.5418 Å). Structure: DFT lattice parameters and positions (PBE).
Lines closer than 0.1° are merged.

Peak list (6 most intense, 5 to 70 degrees two-theta, by intensity)
2theta, I/Imax, index
40.07, 100, 0 3 3
39.86, 94, 2 2 0
40.75, 74, 0 0 6
34.34, 55, 3 0 0
45.00, 50, 2 2 3
35.41, 50, 0 2 4

Atomic structure:
a = 9.0471 Å, b = 9.0471 Å, c = 13.2990 Å
α = 90.00°, β = 90.00°, γ = 120.00°
Space group R-3m (No. 166, hexagonal axes)
Unique sites:
1 Nd 0.0000 0.0000 0.1614 x6
2 Zn 0.0000 0.2856 0.5000 x18
3 Zn 0.0000 0.5000 0.0000 x9
4 Zn 0.0029 0.5015 0.6526 x18
5 Pd 0.0000 0.0000 0.3916 x6


PmPrI2O2: simulated X-ray powder pattern (CuKα), based on a cell relaxed with GGA-PBE.

Structure:
```
PmPrI2O2
1.0
4.0776 0.0000 0.0000
0.0000 4.0776 0.0000
0.0000 0.0000 9.2334
Pm Pr I O
1 1 2 2
Direct
0.0000 0.0000 0.0000
0.5000 0.5000 0.2528
0.0000 0.0000 0.4561
0.5000 0.5000 0.7945
0.0000 0.5000 0.1227
0.5000 0.0000 0.1227
```

Peak list (6 most intense, 2θ = 10–80°, low angle first)
Position (°2θ), d_spacing, I (rel.), index
29.2, 3.056, 100.0, 1 0 2
31.0, 2.883, 43.3, 1 1 0
36.6, 2.457, 9.7, 1 0 3
44.4, 2.039, 20.4, 2 0 0
50.7, 1.802, 15.7, 1 1 4
54.1, 1.696, 35.3, 2 1 2


The following is a computed X-ray powder pattern of ScTc2Se4. It was derived from a GGA-PBE-relaxed structure, using Cu Kα, 1.54184 Å.
No peak broadening, texture or thermal motion is included.

```
data_ScTc2Se4
_chemical_formula_sum 'Sc2 Tc4 Se8'
_space_group_name_H-M_alt 'P 1'
_space_group_IT_number 1
_cell_length_a 7.638
_cell_length_b 7.638
_cell_length_c 7.638
_cell_angle_alpha 60.00
_cell_angle_beta 60.00
_cell_angle_gamma 60.00
loop_
_space_group_symop_operation_xyz
'x,y,z'
loop_
_atom_site_label
_atom_site_type_symbol
_atom_site_fract_x
_atom_site_fract_y
_atom_site_fract_z
Sc1 Sc 0.125 0.125 0.125
Sc2 Sc 0.875 0.875 0.875
Tc1 Tc 0.000 0.500 0.500
Tc2 Tc 0.500 0.000 0.500
Tc3 Tc 0.500 0.500 0.000
Tc4 Tc 0.500 0.500 0.500
Se1 Se 0.263 0.263 0.263
Se2 Se 0.263 0.263 0.712
Se3 Se 0.263 0.712 0.263
Se4 Se 0.288 0.737 0.737
Se5 Se 0.712 0.263 0.263
Se6 Se 0.737 0.288 0.737
Se7 Se 0.737 0.737 0.288
Se8 Se 0.737 0.737 0.737
```

Largest 8 diffraction maxima, most intense first, 10 to 90 degrees two-theta:
2theta	I/Imax
33.18	100
47.62	95
14.20	57
27.39	45
43.54	42
88.74	25
79.34	24
59.27	21


Calculated PXRD pattern
Compound: Li2Mn3GaO8
Radiation: Cu Kα (weighted mean of Kα1 and Kα2)
Structure: a cell relaxed with GGA+U
Lines closer than 0.1° are merged.

Atomic structure:
Cell: 5.902 5.993 10.166 Å, 90.00 125.28 90.00°
Space group P2/c (No. 13)
One atom of each set of equivalent atoms:
Li1 0.114 0.249 0.126 [4 per cell]
Mn1 0.000 0.263 0.750 [2 per cell]
Mn2 0.500 0.000 0.000 [2 per cell]
Mn3 0.500 0.500 0.000 [2 per cell]
Ga1 0.500 0.253 0.750 [2 per cell]
O1 0.242 0.279 0.983 [4 per cell]
O2 0.248 0.038 0.759 [4 per cell]
- - -
Beth: Who has influenced you most as a writer and why?
Ginny: Different people have influenced me at different times in my life. I love science fiction and fantasy, and one of the classic masters was Isaac Asimov. That man was an absolute genius at the short story, and back when I first started writing I got a great deal of inspiration from reading his work. Then several years ago I read a book by Deborah Raney, and I thought, “Now THAT is great characterization.” I learned a lot about creating characters from Deb’s books. Just recently I’ve been trying to learn how to instill more suspense in my stories, so I read Brandilyn Collins’ Crimson Eve. Man, what a terrific book! The suspense starts in the first chapter and doesn’t stop until the end.
Beth: What is your favorite movie? Favorite book?
Ginny: I really don’t have favorites, because I enjoy so many! I love fiction in almost any form, so my tastes really vary. Some of my favorite movies are Notting Hill, 28 Days, Star Trek IV-The Voyage Home, and Stardust. As one of my friends said recently, asking me to pick a favorite book is like asking me to pick my favorite child! I can’t possibly choose! But the book that has impacted me the most in my life goes back to childhood – The Lion, the Witch, and the Wardrobe. Mom read it to me before I could read myself, and that book painted vivid pictures in my mind about Jesus. When Aslan gave his life for Edmund, I put myself in his place and I got a glimpse of the sacrifice Jesus made for me.
Beth: Can you share about your newest release?
Ginny: Bluegrass Peril is my second mystery, and it’s my husband’s favorite. It’s set in Kentucky’s elite thoroughbred industry, and I had so much fun doing the research. We visited thoroughbred breeders, and went to the races, and went to a thoroughbred auction (I almost bought a cute little filly, until my husband threatened to tie my hands behind my back to keep me from bidding!). I interviewed a man who works for the Jockey Club, which is the organization that registers thoroughbreds. And I also had dinner with a guy who does a lot of betting… uh, shall we say ‘under the table.’ But the biggest influence on this book was a farm in Georgetown, Kentucky called Old Friends. ( It’s the only retirement farm in the country that houses retired champion stallions, because they’re so difficult. My sympathies were really aroused for those horses. Many of them show up in Bluegrass Peril, and though the horses in the book are fictitious, the stories behind them are real.
Beth: What is your creative process for writing your novels?
Ginny: I write in two genres—mystery and contemporary—and I have a different process for each. When I begin a contemporary novel, I usually start with a character and a situation in the character’s life that will result in change. I sit down and write without a clear idea of what’s going to happen in the story, and let the ideas develop as I work. But usually about halfway through I stop and create a high-level outline of the plot from that point to the end of the book.
With mysteries, my process is totally different. I start with a crime, and identify the main characters – hero, heroine, and villain. Then I develop the killer’s motive and alibi, and figure out how the hero and heroine are going to solve the crime. I come up with other suspects and their motives and alibis. For the next step, I use a technique I learned from my years as a computer system implementer in the corporate environment – I create a project plan. I start from the end point—the resolution of the crime—and work my way backward laying out every step that must happen in order to get my hero and heroine to that point. That’s my plot outline, which I use to write the book. As you can see, most of the work happens up-front, before the writing ever starts.
Beth: Do you have any advice for those of us hoping to write for LI’s suspense line?
Ginny: My primary advice is the same as it is for anyone hoping to write for any publisher – study the craft and develop your skills. Then to specifically target Steeple Hill, read tons of LIS books, because those are the ones the editors are buying. Work on creating good characters and on instilling suspense into your stories. (My editor is encouraging me to become more suspenseful and less cozy!) Oh, and keep in mind that Steeple Hill is a conservative Christian publisher, so make sure you study their guidelines and follow them. For instance using darn, or rats!, or any other mild expletives is a no-no!
Beth: What is the message you hope to get across in this story?
Ginny: I don’t really have a strong message. I want people to enjoy the story, to turn the last page and say, “Man, that was a good book!” I hope they like the glimpse I give them inside Kentucky’s thoroughbred industry, and that they enjoy meeting the horses I depict in the story. If there’s a message, I think it’s that God guides us if we ask Him to. His law is written in our hearts, and when we pray, He shows us the way He wants us to go.
Beth: Do you tend to see the same Christian themes in your books and what are they?
Ginny: Probably the biggest theme that is repeated in my books is one that I cling to in my life. “For I know the plans I have for you,” declares the Lord, “plans to prosper you and not to harm you, plans to give you hope and a future.” My characters often struggle because they don’t know what the future holds. If they –and we—could just grab hold of that truth, how much easier it would go for us!
Beth: What does your typical day look like?
Ginny: I write full time, and I treat that as my job. So I get up in the morning and spend a few minutes having coffee and quiet time with my husband. Then I go into the living room for private Bible study and prayer. Then I have breakfast. I used to check my e-mail over breakfast, but I discovered that practice can sidetrack my day, so now I take my breakfast into my office and eat while I reread what I wrote the day before. Then I immediately start writing. I take a break to go to the gym mid-morning (when I’m being good!), and for lunch, but then I go right back to my office. I work until 5:00 or 5:30, when it’s time to start dinner.
Beth: What do you believe is the most important thing an author can do to catch an editor’s eye?
Ginny: Without a doubt, be professional. You might have a terrific story, but if your approach is unprofessional—typos in the cover letter, not following the guidelines, incomplete proposals, mistakes in the format of your manuscript, etc—it will never be read. Of course, you must have a terrific story, too, and your writing must be fresh and crisp and polished.
Beth: What would you say was the toughest part of the writing craft for you to learn? Any tips for others who struggle with this same element?
## Crystal structures, as found in the file
********
(1)
LaHfMg6: theoretical powder diffractogram (Cu Kα (λ = 1.5418 Å)), based on a DFT-relaxed cell (PBE, the Materials Project).
Intensities are scaled so that the largest is 100.

The 12 most intense peaks (2θ from 10° to 80°), by angle:
2θ = 15.5°, rel. 50.0; 2θ = 16.9°, rel. 39.0; 2θ = 23.0°, rel. 39.9; 2θ = 31.2°, rel. 42.1; 2θ = 32.0°, rel. 17.5; 2θ = 34.2°, rel. 22.7; 2θ = 35.7°, rel. 100.0; 2θ = 47.0°, rel. 27.1; 2θ = 55.5°, rel. 16.5; 2θ = 62.3°, rel. 19.5; 2θ = 66.9°, rel. 18.7; 2θ = 67.8°, rel. 14.9

Crystal structure
Unit cell a=5.239 b=6.620 c=6.620 alpha=59.97 beta=90.00 gamma=90.00
Positions (direct):
La: 0.000 0.000 0.000
Hf: 0.000 0.497 0.497
Mg: 0.000 0.003 0.501
Mg: 0.000 0.501 0.003
Mg: 0.500 0.176 0.176
Mg: 0.500 0.182 0.657
Mg: 0.500 0.657 0.182
Mg: 0.500 0.666 0.666



(2)
LaHfMg6: theoretical powder diffractogram (Cu Kα (λ = 1.5418 Å)), based on a DFT-relaxed cell (PBE, the Materials Project).
Intensities are scaled so that the largest is 100.

The 12 most intense peaks (2θ from 10° to 80°), by angle:
2θ = 15.4°, rel. 96.7; 2θ = 23.1°, rel. 51.9; 2θ = 26.9°, rel. 15.2; 2θ = 31.2°, rel. 24.5; 2θ = 32.0°, rel. 37.3; 2θ = 34.4°, rel. 24.6; 2θ = 35.7°, rel. 100.0; 2θ = 37.9°, rel. 21.7; 2θ = 41.6°, rel. 15.2; 2θ = 45.3°, rel. 20.3; 2θ = 47.1°, rel. 15.5; 2θ = 62.5°, rel. 19.3

Crystal structure
Unit cell a=5.212 b=6.622 c=6.622 alpha=60.13 beta=90.00 gamma=90.00
Positions (direct):
La: 0.000 0.000 0.000
Hf: 0.500 0.163 0.163
Mg: 0.000 0.002 0.486
Mg: 0.000 0.486 0.002
Mg: 0.000 0.493 0.493
Mg: 0.500 0.166 0.653
Mg: 0.500 0.653 0.166
Mg: 0.500 0.663 0.663

----------

Structure and calculated X-ray powder pattern of TmPdRh (a GGA-PBE-relaxed structure; Cu Ka).
No peak broadening, texture or thermal motion is included.

Principal peaks in the range 10 to 90 degrees two-theta, by intensity:
2θ (°)  intensity
34.9  100
41.3  60
55.2  27
68.6  26
71.2  25
52.2  10

Cell and atoms:
```
TmPdRh
1.0
4.3684 0.0000 0.0000
-2.1842 3.7832 0.0000
0.0000 0.0000 3.5078
Tm Pd Rh
1 1 1
direct
0.0000 0.0000 0.0000 Tm
0.3333 0.6667 0.5000 Pd
0.6667 0.3333 0.5000 Rh
```

***

Structure and calculated X-ray powder pattern of Cs2AsRuF6 (a GGA-PBE-relaxed structure; Cu Ka).
No peak broadening, texture or thermal motion is included.

Principal peaks in the range 10 to 90 degrees two-theta, by intensity:
2θ (°)  intensity
26.5  100
30.2  33
51.4  32
31.8  24
43.2  24
71.1  21

Cell and atoms:
```
Cs2AsRuF6
1.0
-2.9630 2.9630 5.6232
2.9630 -2.9630 5.6232
2.9630 2.9630 -5.6232
Cs As Ru F
2 1 1 6
direct
0.2500 0.7500 0.5000 Cs
0.7500 0.2500 0.5000 Cs
0.0000 0.0000 0.0000 As
0.5000 0.5000 0.0000 Ru
0.2505 0.2505 0.5010 F
0.2505 0.7495 0.0000 F
0.3177 0.3177 0.0000 F
0.6823 0.6823 0.0000 F
0.7495 0.2505 0.0000 F
0.7495 0.7495 0.4990 F
```

***

Structure and calculated X-ray powder pattern of Pm2PaMn2N6 (a GGA-PBE-relaxed structure; Cu Ka).
No peak broadening, texture or thermal motion is included.
********
Ginny: The toughest part so far (because I’m still learning!) has been characterization. I want my characters to leap off the page, to be so real that people add them to their prayer lists. They’re that real in my mind, and I want to make sure they’re that real to my readers, too. Brandilyn Collins’ book Getting Into Character is excellent, and I use her interview technique with every main character I write. And of course reading books by other writers who have mastered characterization helps, such as Deborah Raney’s books. I like to read the opening scene and then stop and pinpoint, “What do I know about this character so far? How was that information relayed to me?”
Beth: Any marketing tips?
Ginny: Marketing could take up an entire interview on its own! I have learned so much about marketing in the past few years since my first book, Just As I Am, was released. But my most recent focus has been on creating a media kit. Media coverage of your books can have a huge impact on sales – just ask any author whose book has been featured by Oprah. But getting the media’s attention is hard, and one way to do it is to have a really slick media kit. I was invited to write an article for Cross & Quill on putting together a media kit, so I recently created one for my February release, Stuck in the Middle. The book isn’t even out yet, but that kit is getting attention! Not only from media, but from readers. People can go here if they want to see a sample media kit:
Beth: Closing thoughts you’d like to share?
Ginny: To aspiring writers – don’t give up! The road to publication is rough and bumpy and long stretches of it are desolate and dull. But if the Lord has called you to write, you will eventually succeed. Remember – His plans for you are good plans!
To readers – I hope you like Bluegrass Peril! And I hope you’ll check out my website to read about my upcoming books, including a new mystery coming out next year!
To Beth – thank you so much! I really enjoyed this interview.
To all – Merry Christmas!
You can buy Ginny’s book here.